The Bladebreakers team was in New York City for the newest tournament of the BBA. Daichi had joined, Kai had rejoined, and Ray and Max had decided to come back also. There were five of them, total, not including their coach, Hiro, Kenny "chief" their mentor slash techie and repairman, and Hillary (she wasn't really there as anything besides a tagalong cheerleader.) They were staying in a large hotel, at the moment, and were barely tolerating each other in such close quarters.

The hotel room was fairly large and connected to a separate room for Hillary, Hiro and Kenny. Apparently, the Bladebreakers would have to share one room between the five of them. It wouldn't have been so hard, had there been less of them and had they gotten along better. Max calculated that Daichi and Tyson would eat all their food in about two hours -he was right- and when the two weren't eating, they would be bothering Kai or being so loud that no one could sleep. Also, the fact that Tyson by himself could take up a king-sized bed posed a problem. Five people, two twin sized beds (one of the five people being Tyson.) Ray had offered to sleep on the floor, but Kenny had squashed the idea by stating that he'd be too sore to blade his best.

Tyson was shoving his face, just as quickly and greedily as he could, fighting with Daichi over different dishes while Kenny and Hillary watched, almost embarrassed that a world champion could be so disgusting. Over on the Sofa of the large hotel room Max and Ray were watching some comedy movie on the television and cracking up, with Hiro sitting between them looking only slightly amused.

Kai was laying on one of the twin beds, staring dully at the ceiling, giving the impression of someone hypnotized. The sound of Daichi launching himself across the table, and missing the dish he wanted, woke him from his daze. He was extremely bored and sick of being stuck in a hotel with his whole team.

"I'm going out," he said simply, not bothering to say where. His teammates were so stupid hw couldn't understand how they'd all become world champions. A reply from Max startled him.

"Yo, man, I'll go with you!" the cheerful blonde called, catching up to him, "Hiro wouldn't want any of us going out alone. He still thinks we're kids," Max laughed a little at the thought then explained, "I mean, I'm old enough to drive and he acts like I need a babysitter. He's rougher on Tyson, though, so I feel worse for him."

Kai decided that if he ignored him, the moron would go away. His plan faltered when Ray joined them, looking almost excited about being out in the city. The raven-haired boy was grinning like there was no tomorrow (which that gave Kai a jealous feeling, for some odd reason.)

"We could do some serious exploring," Ray said, and the two assumed it as his greeting, "hey, wanna go check out some of those shops over there?" he pointed at a long string of the small buildings.

"Max shrugged, "Why not? I could get some city clothes. Maybe, we could meet some ladies," he smiled, though it was empty. Max was hopeless when it came to girls. Actually, all three of them were. Kai scared them away, Ray was too preoccupied to notice them until they were gone, and Max was just pathetic and hopeless in general.

Here the article breaks off for data records:
{
  "formula": "C4H6ClNOS",
  "method": "the ωB97M-V functional and the def2-TZVPD basis",
  "smiles": "COC(/C=N\\S)=C\\Cl",
  "total_charge": 0,
  "homo_lumo_gap_ev": 8.587,
  "homo_energy_ev": -8.725,
  "species": ["C", "C", "C", "C", "H", "H", "H", "H", "H", "H", "N", "O", "S", "Cl"],
  "positions_angstrom": [[-0.677780, -1.151849, 0.964464], [0.270857, 0.702293, 0.122388], [0.361040, 2.010122, 0.638491], [0.090784, 0.582465, -1.352550], [-0.153823, -1.918663, 1.709968], [-1.798543, -0.748869, 1.365344], [-0.985905, -1.524847, -0.048312], [-0.310513, 2.803101, 0.044801], [-0.068684, 1.574012, -2.032530], [1.181236, -2.176652, -0.577440], [0.095687, -0.334005, -2.192961], [0.443827, -0.306448, 1.006239], [0.651657, -1.983357, -1.900679], [0.900161, 2.472698, 2.252778]],
  "forces_ev_per_angstrom": [[-1.921, -2.214, 2.600], [0.887, 4.217, 1.352], [-2.389, -0.442, -2.074], [-0.921, 3.623, -0.706], [-2.473, 0.565, -1.733], [3.370, -0.403, -0.407], [0.925, 0.037, 0.961], [2.442, -1.418, 1.318], [0.034, -1.599, 2.584], [-0.763, 0.839, -1.509], [1.346, -3.391, -0.035], [-0.072, 0.649, -1.608], [0.187, 0.201, 0.612], [-0.653, -0.664, -1.354]]
}

{
  "formula": "C22H30F2N3O7P2",
  "method": "the ωB97M-V functional and the def2-TZVPD basis",
  "total_charge": -1,
  "homo_lumo_gap_ev": 7.455,
  "homo_energy_ev": -5.171,
  "species": ["N", "P", "N", "P", "O", "O", "C", "C", "C", "C", "C", "O", "C", "O", "C", "C", "C", "N", "O", "C", "O", "O", "H", "H", "H", "H", "H", "H", "H", "H", "H", "H", "H", "H", "H", "H", "H", "H", "H", "H", "H", "H", "F", "C", "C", "C", "C", "C", "C", "H", "H", "H", "H", "H", "F", "C", "C", "C", "C", "C", "C", "H", "H", "H", "H", "H"],

"Why would I want to go shopping…" Kai muttered, glaring at Max and giving Ray a look that clearly stated he was acting like an idiot, "I have better things to do than spend my money on a bunch of crap," he walked a ways ahead, but found himself sandwiched between his two teammates in a matter of seconds.

"Alrighty, Mr. Sourpuss," Max exclaimed, laughing loudly, "we'll do something more fun and meaningful, since you obviously want to go to that dance club across from the shops!" he started steering Kai towards he building, from which a loud bass beat was issuing.

"Yup, I have to agree with Max," Ray said, giving Kai a somewhat apologetic look, "you don't get out enough, so we're just gonna force you to be social," he pushed Kai the direction Max was going, and they soon reached the doors.